• Assignment:
Now echo the lines underneath up to the one that holds "57.17", that line included.
• Material:
Calculated X-ray powder pattern of CsCr2GaO8 for Cu Kα (weighted mean of Kα1 and Kα2), from a cell relaxed with GGA+U.
No peak broadening, texture or thermal motion is included.

a b c (Å): 5.3173 5.3173 8.5194
angles (deg): 90.00 90.00 120.00
Space group P-3 (No. 147)
Unique sites:
1 Cs 0.0000 0.0000 0.0000 x1
2 Cr 0.3333 0.6667 0.6987 x2
3 Ga 0.0000 0.0000 0.5000 x1
4 O 0.0852 0.3330 0.6382 x6
5 O 0.3333 0.6667 0.8902 x2

Main lines, in order of rising 2θ (10° ≤ 2θ ≤ 80°):
| Position (°2θ) | Rel. int. |
| --- | --- |
| 19.27 | 44 |
| 21.94 | 61 |
| 28.55 | 100 |
| 33.71 | 49 |
| 44.74 | 29 |
| 57.17 | 27 |
• Response:
Calculated X-ray powder pattern of CsCr2GaO8 for Cu Kα (weighted mean of Kα1 and Kα2), from a cell relaxed with GGA+U.
No peak broadening, texture or thermal motion is included.

a b c (Å): 5.3173 5.3173 8.5194
angles (deg): 90.00 90.00 120.00
Space group P-3 (No. 147)
Unique sites:
1 Cs 0.0000 0.0000 0.0000 x1
2 Cr 0.3333 0.6667 0.6987 x2
3 Ga 0.0000 0.0000 0.5000 x1
4 O 0.0852 0.3330 0.6382 x6
5 O 0.3333 0.6667 0.8902 x2

Main lines, in order of rising 2θ (10° ≤ 2θ ≤ 80°):
| Position (°2θ) | Rel. int. |
| --- | --- |
| 19.27 | 44 |
| 21.94 | 61 |
| 28.55 | 100 |
| 33.71 | 49 |
| 44.74 | 29 |
| 57.17 | 27 |